Category Archives: Psycho-physiological Bases Of Engineering

An alternative conceptual basis for curiosity / motivation

Francesco Poli, Jill X. O’Reilly, Rogier B. Mars, Sabine Hunnius, Curiosity and the dynamics of optimal exploration, Trends in Cognitive Sciences, Volume 28, Issue 5, 2024, DOI: 10.1016/j.tics.2024.02.001.

What drives our curiosity remains an elusive and hotly debated issue, with multiple hypotheses proposed but a cohesive account yet to be established. This review discusses traditional and emergent theories that frame curiosity as a desire to know and a drive to learn, respectively. We adopt a model-based approach that maps the temporal dynamics of various factors underlying curiosity-based exploration, such as uncertainty, information gain, and learning progress. In so doing, we identify the limitations of past theories and posit an integrated account that harnesses their strengths in describing curiosity as a tool for optimal environmental exploration. In our unified account, curiosity serves as a ‘common currency’ for exploration, which must be balanced with other drives such as safety and hunger to achieve efficient action.

Imitating physiological processes for achieving robot-human social interaction

Marcos Maroto-Gómez, Martín Bueno-Adrada, María Malfaz, Álvaro Castro-González, Miguel Ángel Salichs, Human–robot pair-bonding from a neuroendocrine perspective: Modeling the effect of oxytocin, arginine vasopressin, and dopamine on the social behavior of an autonomous robot, Robotics and Autonomous Systems, Volume 176, 2024 DOI: 10.1016/j.robot.2024.104687.

Robots and humans coexist in various social environments. In these contexts, robots predominantly serve as assistants, necessitating communication and understanding capabilities. This paper introduces a biologically inspired model grounded on neuroendocrine substances that facilitate the development of social bonds between robots and individuals. The model simulates the effects of oxytocin, arginine vasopressin, and dopamine on social behavior, acting as modulators for bonding in the interaction between the social robot Mini and its users. Neuroendocrine levels vary in response to circadian rhythms and social stimuli perceived by the robot. If users express care for the robot, a positive bond is established, enhancing human–robot interaction by prompting the robot to engage in cooperative actions such as playing or communicating more frequently. Conversely, mistreating the robot leads to a deterioration of the relationship, causing user rejection. An experimenter-robot interaction scenario illustrates the model’s adaptive mechanisms involving three types of profiles: Friendly, Aversive, and Naive. Besides, a user study with 22 participants was conducted to analyze the differences in Attachment, Social Presence, perceived Anthropomorphism, Likability, and User Experience between a robot randomly selecting its behavior and a robot behaving using the bioinspired pair-bonded method proposed in this contribution. The results show how the pair-bonding with the user regulates the robot’s social behavior in response to user actions. The user study reveals statistical differences favoring the robot using the pair-bonding regulation in Attachment and Social Presence. A qualitative study using an interview-like form suggests the positive effects of creating bonds with bioinspired robots.

What attention is (from a cognitive science point of view)

Wayne Wu, We know what attention is!, Trends in Cognitive Sciences, Volume 28, Issue 4, 2024 DOI: 10.1016/j.tics.2023.11.007.

Attention is one of the most thoroughly investigated psychological phenomena, yet skepticism about attention is widespread: we do not know what it is, it is too many things, there is no such thing. The deficiencies highlighted are not about experimental work but the adequacy of the scientific theory of attention. Combining common scientific claims about attention into a single theory leads to internal inconsistency. This paper demonstrates that a specific functional conception of attention is incorporated into the tasks used in standard experimental paradigms. In accepting these paradigms as valid probes of attention, we commit to this common conception. The conception unifies work at multiple levels of analysis into a coherent scientific explanation of attention. Thus, we all know what attention is.

On how much imagery can be said to be real or not by the human brain

Rebecca Keogh, Reality check: how do we know what’s real?, Trends in Cognitive Sciences, Volume 28, Issue 4, 2024 DOI: 10.1016/j.tics.2023.06.001.

How do we know what is real and what is merely a figment of our imagination? Dijkstra and Fleming tackle this question in a recent study. In contrast to the classic Perky effect, they found that once imagery crosses a ‘reality threshold’, it becomes difficult to distinguish from reality.

On the complexities of RL when it confronts the real (natural) world

Toby Wise, Kara Emery, Angela Radulescu, Naturalistic reinforcement learning, Trends in Cognitive Sciences, Volume 28, Issue 2, 2024, Pages 144-158 DOI: 10.1016/j.tics.2023.08.016.

Humans possess a remarkable ability to make decisions within real-world environments that are expansive, complex, and multidimensional. Human cognitive computational neuroscience has sought to exploit reinforcement learning (RL) as a framework within which to explain human decision-making, often focusing on constrained, artificial experimental tasks. In this article, we review recent efforts that use naturalistic approaches to determine how humans make decisions in complex environments that better approximate the real world, providing a clearer picture of how humans navigate the challenges posed by real-world decisions. These studies purposely embed elements of naturalistic complexity within experimental paradigms, rather than focusing on simplification, generating insights into the processes that likely underpin humans\u2019 ability to navigate complex, multidimensional real-world environments so successfully.

Further support for a multi-tool approach for consciusness

Biyu J. He, Towards a pluralistic neurobiological understanding of consciousness, Trends in Cognitive Sciences, Volume 27, Issue 5, 2023 DOI: 10.1016/j.tics.2023.02.001.

Theories of consciousness are often based on the assumption that a single, unified neurobiological account will explain different types of conscious awareness. However, recent findings show that, even within a single modality such as conscious visual perception, the anatomical location, timing, and information flow of neural activity related to conscious awareness vary depending on both external and internal factors. This suggests that the search for generic neural correlates of consciousness may not be fruitful. I argue that consciousness science requires a more pluralistic approach and propose a new framework: joint determinant theory (JDT). This theory may be capable of accommodating different brain circuit mechanisms for conscious contents as varied as percepts, wills, memories, emotions, and thoughts, as well as their integrated experience.

Emergence of number meaning from sensorimotor experiences

Attached: materials data:
____________
No. 1
Density functional theory data (GGA-PBE) for a geometry-optimized CsNbP2O structure.

Lattice parameters (Å, degrees): 5.2933 5.2933 4.1056 90.00 90.00 90.00
With the nearest neighbours (Å) after each atom.
Sites, in units of the cell vectors:
Cs 0.0000 0.0000 0.0000  2 O 2.05
Nb 0.5000 0.5000 0.5000  8 P 3.35, 4 O 3.74
P 0.0000 0.5000 0.0000  2 Cs 2.65
P 0.5000 0.0000 0.0000  2 Cs 2.65
O 0.0000 0.0000 0.5000  2 Cs 2.05

Results
* calculated volume: 23.0 Å³/atom
* DOS at the Fermi energy: 2.433 states/eV per cell
* total DFT energy (no corrections): -18.136 eV for the cell shown
* uncorrected formation energy: 1713 meV/atom

=====

No. 2
Density functional theory data (GGA-PBE) for a geometry-optimized Cs2PaNb3O12 structure.

Lattice parameters (Å, degrees): 7.7807 7.7807 7.7807 58.68 58.68 58.68
With the nearest neighbours (Å) after each atom.
Sites, in units of the cell vectors:
Cs 0.1176 0.1176 0.1176  9 O 3.40-3.77
Cs 0.8824 0.8824 0.8824  9 O 3.40-3.77
Pa 0.5000 0.5000 0.5000  6 O 2.16
Nb 0.0000 0.5000 0.5000  6 O 2.00-2.02
Nb 0.5000 0.0000 0.5000  6 O 2.00-2.02
Nb 0.5000 0.5000 0.0000  6 O 2.00-2.02
O 0.1686 0.5690 0.5690  1 Nb 2.02, 1 Pa 2.16
O 0.1946 0.1946 0.5648  2 Nb 2.00
O 0.1946 0.5648 0.1946  2 Nb 2.00
O 0.4310 0.4310 0.8314  1 Nb 2.02, 1 Pa 2.16
O 0.4310 0.8314 0.4310  1 Nb 2.02, 1 Pa 2.16
O 0.4352 0.8054 0.8054  2 Nb 2.00
O 0.5648 0.1946 0.1946  2 Nb 2.00
O 0.5690 0.1686 0.5690  1 Nb 2.02, 1 Pa 2.16
O 0.5690 0.5690 0.1686  1 Nb 2.02, 1 Pa 2.16
O 0.8054 0.4352 0.8054  2 Nb 2.00
O 0.8054 0.8054 0.4352  2 Nb 2.00
O 0.8314 0.4310 0.4310  1 Nb 2.02, 1 Pa 2.16

Results
* calculated volume: 17.9 Å³/atom
* DOS at the Fermi energy: 14.558 states/eV per cell
* total DFT energy (no corrections): -145.264 eV for the cell shown
* uncorrected formation energy: -2464 meV/atom
____________

Elena Sixtus, Florian Krause, Oliver Lindemann, Martin H. Fischer, A sensorimotor perspective on numerical cognition, Trends in Cognitive Sciences, Volume 27, Issue 4, 2023, Pages 367-378 DOI: 10.1016/j.tics.2023.01.002.

Numbers are present in every part of modern society and the human capacity to use numbers is unparalleled in other species. Understanding the mental and neural representations supporting this capacity is of central interest to cognitive psychology, neuroscience, and education. Embodied numerical cognition theory suggests that beyond the seemingly abstract symbols used to refer to numbers, their underlying meaning is deeply grounded in sensorimotor experiences, and that our specific understanding of numerical information is shaped by actions related to our fingers, egocentric space, and experiences with magnitudes in everyday life. We propose a sensorimotor perspective on numerical cognition in which number comprehension and numerical proficiency emerge from grounding three distinct numerical core concepts: magnitude, ordinality, and cardinality.

Review of emotions in AI

G. Assun��o, B. Patr�o, M. Castelo-Branco and P. Menezes, An Overview of Emotion in Artificial Intelligence, IEEE Transactions on Artificial Intelligence, vol. 3, no. 6, pp. 867-886, Dec. 2022 DOI: 10.1109/TAI.2022.3159614.

The field of artificial intelligence (AI) has gained immense traction over the past decade, producing increasingly successful applications as research strives to understand and exploit neural processing specifics. Nonetheless emotion, despite its demonstrated significance to reinforcement, social integration, and general development, remains a largely stigmatized and consequently disregarded topic by most engineers and computer scientists. In this article, we endorse emotion\u2019s value for the advancement of artificial cognitive processing, as well as explore real-world use cases of emotion-augmented AI. A schematization is provided on the psychological-neurophysiologic basics of emotion in order to bridge the interdisciplinary gap preventing emulation and integration in AI methodology, as well as exploitation by current systems. In addition, we overview three major subdomains of AI greatly benefiting from emotion, and produce a systematic survey of meaningful yet recent contributions to each area. To conclude, we address crucial challenges and promising research paths for the future of emotion in AI with the hope that more researchers will develop an interest for the topic and find it easier to develop their own contributions.

Normal blindness to visible objects seems to be the result of limited-capacity prediction mechanisms in the brain

Jeremy M. Wolfe, Anna Kosovicheva, Benjamin Wolfe, Normal blindness: when we Look But Fail To See, Trends in Cognitive Sciences, Volume 26, Issue 9, 2022, Pages 809-819 DOI: 10.1016/j.tics.2022.06.006.

Humans routinely miss important information that is \u2018right in front of our eyes\u2019, from overlooking typos in a paper to failing to see a cyclist in an intersection. Recent studies on these \u2018Looked But Failed To See\u2019 (LBFTS) errors point to a common mechanism underlying these failures, whether the missed item was an unexpected gorilla, the clearly defined target of a visual search, or that simple typo. We argue that normal blindness is the by-product of the limited-capacity prediction engine that is our visual system. The processes that evolved to allow us to move through the world with ease are virtually guaranteed to cause us to miss some significant stimuli, especially in important tasks like driving and medical image perception.

On the existence of multiple fundamental “languages” in the brain that use discrete symbols and a few basic structures

Stanislas Dehaene, Fosca Al Roumi, Yair Lakretz, Samuel Planton, Mathias Sabl�-Meyer, Symbols and mental programs: a hypothesis about human singularity, Trends in Cognitive Sciences, Volume 26, Issue 9, 2022, Pages 751-766 DOI: 10.1016/j.tics.2022.06.010.

## Records of crystals, kept here for reference
~~~
[1]
Below is a relaxed structure of CaInSnBi, with properties calculated at the PBE level.

The value obtained for the density is 6.7 g/cm3. The energy of formation comes out at -0.89 eV per formula unit.

The space group is F-43m (No. 216) and the conventional cell measures 7.8206, 7.8206 and 7.8206 Å, with angles of 90.00, 90.00 and 90.00 degrees. The asymmetric unit holds Ca at (0.0000, 0.0000, 0.0000), In at (0.2500, 0.2500, 0.2500), Sn at (0.0000, 0.0000, 0.5000) and Bi at (0.2500, 0.2500, 0.7500).

---

[2]
Below is a relaxed structure of AcHgIr, with properties calculated at the PBE level.

The value obtained for the density is 11.9 g/cm3. The energy of formation comes out at -0.96 eV per formula unit.

The space group is Fmmm (No. 69) and the conventional cell measures 4.9606, 8.9509 and 15.6275 Å, with angles of 90.00, 90.00 and 90.00 degrees. The asymmetric unit holds Ac at (0.0000, 0.0000, 0.1385), Hg at (0.0000, 0.1651, 0.5000) and Ir at (0.2500, 0.2500, 0.2500).
~~~

Natural language is often seen as the single factor that explains the cognitive singularity of the human species. Instead, we propose that humans possess multiple internal languages of thought, akin to computer languages, which encode and compress structures in various domains (mathematics, music, shape\u2026). These languages rely on cortical circuits distinct from classical language areas. Each is characterized by: (i) the discretization of a domain using a small set of symbols, and (ii) their recursive composition into mental programs that encode nested repetitions with variations. In various tasks of elementary shape or sequence perception, minimum description length in the proposed languages captures human behavior and brain activity, whereas non-human primate data are captured by simpler nonsymbolic models. Our research argues in favor of discrete symbolic models of human thought.